Ni no Kuni 2: Revenant Kingdom is a charming and addictive JRPG. Its combat is fine enough and with the developers filling the world with optional activities and gameplay mechanics such as the Pikmin-like skirmishes or the sim-like kingdom building, there’s bound to be something for someone to latch onto. Ni no Kuni 2: Revenant Kingdom is a traditional JRPG for genre fanatics that could have been as essential as Persona 5 if it weren’t held back by its production values and laughable difficulty.
The narrative’s driving impetus is about as generic as generic comes. Evan Pettiwhisker Tildrum’s kingdom of Ding Dong Dell is overthrown by his father’s closest adviser, Lord Mausinger. During this siege on his father, King Leonhard’s throne, Roland is transported from his seemingly modern dimension to Ni no Kuni 2‘s fantastical setting. Roland helps Evan escape the castle. Soon after forming this allegiance, Evan sets out to seek a kingmaker with his friends because no one has the power to rule over any plot of land without forming a kingsbond with a kingmaker. After forming this bond, Evan establishes his own kingdom and sets on a quaint pursuit to rid the world of war, asking each kingdom’s ruler to sign his Declaration of Interdependence.
King Evan’s insistence on creating a peaceful land drones as the hours pass. Aside from his annoyingly oblivious nature, many of the characters spend too much time talking without taking action. The writing as a whole feels like it takes a backseat to the aesthetic pleasures of the game’s universe. That would normally be fine, but Ni no Kuni 2 assaults the player with text box after text box. The story and characters are neither engaging nor self-aware enough to carry it through so much dialogue.
Its startlingly low production values are also an issue. For a full priced game that made such a splash at one of Sony’s own press conferences, you’d be hard pressed to find where all the voice acting went. Characters routinely begin speaking in full sentences only for the competent acting to be replaced with typical grunts and groans all within the space of a single cutscene. Ni no Kuni 2 also has a habit of showing fully voiced pre-rendered cinematics, both preceded by and succeeded with endless text boxes. In one instance, the game even pulls off the unthinkable. After several minutes of non-voiced dialogue, the game cut to a 2-3 second pre-rendered cinematic in which King Evan speaks a single sentence, then it cut back to several more minutes of non-voiced dialogue. This inconsistency is one of the greatest barriers to enjoying the by-the-numbers plot for what it is. Keep in mind it launched at full retail price.

Thankfully, Revenant Kingdom succeeds where it matters most. Consisting of three core pillars, Ni no Kuni 2 enjoys an addictive and rewarding gameplay loop sure to hook fans of numbers, stats, and progression: the genre mainstays. Combat itself is nothing special, but it’s satisfying enough to prevent the 30-40 hour story from feeling like a drag. Standard light and heavy attacks can be used to form different combos. Players also have access to ranged attacks that differ between characters. Roland uses guns whereas Batu uses bows, for example.
Rather than using up ammunition, ranged attacks deplete the magic meter that can be refilled with items or by physically attacking enemies. Each character has access to different magic abilities, each depleting the magic meter to varying degrees. Within a combat instance, characters have access to three weapons that the player can switch between on the fly. Each weapon has a zing gauge attached to it, denoted by a numbered percentage. As foes continue to be decimated, the unequipped weapons’ zing gauges fill more quickly. The higher the number, the more basic attack damage the weapon does. In addition, the entire meter is automatically expended when a magic attack is used, albeit a powered up version of that attack.
Relatively early in the game, higgledies open up further nuances to encounters. As you explore the world and offer up specific items to higgledy stones or create the higgledies yourself, new combat strategies and potentials open up. Different higgledies provide different benefits. One set of higgledies might transform into a cannon and deal more significant damage to enemies whereas another set might create a healing circle. Very little micromanaging is necessary, allowing the player to focus on killing things. They act independently of the player’s actions for most of the battle, only randomly offering opportunities to walk up to their formation to press a button and initiate their “ultimate” offensive or defensive ability.

# The text is interrupted by calculated crystals
+++
Entry 1:
Diffraction record for NpHgRh. The powder diffraction line list is calculated, not measured: it uses a crystal structure in Alexandria, relaxed with PBE and Cu Kα (weighted mean of Kα1 and Kα2).
Peak positions follow from Bragg's law for the DFT cell and can differ from measured ones.

The 12 most intense peaks (2θ = 10–90°), in order of falling intensity:
Position (°2θ)	d/Å	I (rel.)	h k l
34.63	2.590	100.0	2 3 0
41.49	2.177	96.6	3 1 1
40.30	2.238	79.5	3 0 1
33.81	2.651	53.0	2 0 1
35.19	2.550	29.9	2 1 1
29.34	3.044	29.8	1 0 1
44.91	2.018	29.6	3 2 1
68.64	1.367	28.3	2 3 2
30.26	2.953	26.7	3 1 0
49.78	1.832	24.8	5 1 0
28.67	3.113	19.2	3 0 0
57.22	1.610	19.2	0 0 2

Structure:
abc: 9.3397 9.3397 3.2199
angles: 90.00 90.00 90.00
Space group P4_2/m (No. 84)
One atom of each set of equivalent atoms:
Np1 0.0568 0.8417 0.0000 x4
Hg1 0.1428 0.4192 0.5000 x4
Rh1 0.2129 0.7031 0.5000 x4

***

Entry 2:
Diffraction record for NpZn17Hg. The powder diffraction line list is calculated, not measured: it uses a crystal structure in Alexandria, relaxed with PBE and Cu Kα (weighted mean of Kα1 and Kα2).
Peak positions follow from Bragg's law for the DFT cell and can differ from measured ones.

The 12 most intense peaks (2θ = 10–90°), in order of falling intensity:
Position (°2θ)	d/Å	I (rel.)	h k l
40.16	2.246	100.0	0 3 3
40.05	2.251	77.9	2 2 0
34.51	2.599	61.4	3 0 0
35.36	2.538	56.5	0 2 4
40.84	2.210	48.9	2 1 4
45.12	2.010	39.1	2 2 3
28.17	3.168	31.2	1 1 3
29.05	3.074	31.0	1 0 4
73.34	1.291	27.1	3 0 9
72.77	1.300	25.7	6 0 0
13.14	6.737	25.3	1 0 1
45.39	1.998	22.4	1 1 6

Structure:
abc: 9.0042 9.0042 13.3777
angles: 90.00 90.00 120.00
Space group R3m (No. 160, hexagonal axes)
One atom of each set of equivalent atoms:
Np1 0.0000 0.0000 0.0000 x3
Zn1 0.0000 0.0000 0.2382 x3
Zn2 0.0000 0.0000 0.4374 x3
Zn3 0.0061 0.3059 0.3349 x18
Zn4 0.0073 0.5036 0.1904 x9
Zn5 0.0085 0.5043 0.8296 x9
Zn6 0.1670 0.3339 0.8245 x9
Hg1 0.0000 0.0000 0.7453 x3

***

Entry 3:
Diffraction record for HgO3. The powder diffraction line list is calculated, not measured: it uses a crystal structure in Alexandria, relaxed with PBE and Cu Kα (weighted mean of Kα1 and Kα2).
Peak positions follow from Bragg's law for the DFT cell and can differ from measured ones.

The 12 most intense peaks (2θ = 10–90°), in order of falling intensity:
Position (°2θ)	d/Å	I (rel.)	h k l
23.72	3.750	100.0	1 1 1
23.52	3.783	49.8	0 0 2
26.04	3.422	33.1	2 0 0
41.47	2.178	31.5	1 1 3
44.56	2.033	26.7	3 1 1
35.37	2.538	26.2	2 0 2
48.55	1.875	21.1	2 2 2
41.84	2.159	18.4	2 2 0
52.51	1.743	18.1	1 3 1
32.16	2.783	17.1	0 2 0
40.23	2.242	16.4	0 2 2
56.88	1.619	15.5	3 1 3

Structure:
abc: 6.8441 5.5661 7.5652
angles: 90.00 90.00 90.00
Space group Aea2 (No. 41)
One atom of each set of equivalent atoms:
Hg1 0.0000 0.0000 0.0000 x4
O1 0.0000 0.0000 0.6170 x4
O2 0.1201 0.1507 0.5081 x8

***

Entry 4:
+++

Combat is filled with mechanics that create nuanced layers of interlocking systems. It’s a shame the game is so easy that essentially all of this can be ignored entirely. Aside from “tainted” enemies, Ni no Kuni 2 provides no challenge. Even if you don’t grind, you’ll find yourself steamrolling many story bosses within a matter of 100 seconds. Mash the attack buttons, occasionally dodge or block, and enemies up to ten levels above you present little challenge with the exception of the aforementioned “tainted” monsters; powered up mini-bosses. With no difficulty select, Ni no Kuni 2 is sure to annoy gamers that want an RPG with challenge. It’s not the easiest RPG this generation. That dishonor goes to Blue Reflection, but it’s dangerously close.
Dreamer’s Mazes ♥
A side quest involving a series of Dreamer’s Mazes was the most fun I ever had in combat. There are nine that count toward the side quest’s completion with a tenth maze acting as a difficult post-game dungeon. The mazes hidden behind each Dreamer’s Door provide the only semblance of challenge aside from the “tainted” battles.
The goal of a Dreamer’s Maze is to defeat the boss on the final floor. Upon entering a maze, you’ll notice a gradually progressing danger level with each level making enemies stronger. This can be circumvented through collectible orbs that only count within that dungeon’s session. These orbs can be acquired by talking to NPC’s, smashing open jars, and defeating enemies. Initially, five orbs can be offered up to a statue in exchange for a decreased danger level, though each successive sacrifice requires more orbs than the last. Conversely, on occasion, an NPC can increase the danger level for those that want to push themselves. Orbs also open certain chests and like the statues, each successive chest requires more than the last.
The nature of the Dreamer’s Mazes requires critical thinking and efficient movement. Is it worth taking on every group of enemies and risking a heightened danger level that may lead to failure on the end boss? Do I spend orbs opening this chest that may give me better loot at the expense of saving them for a statue? Do I explore every inch, searching for orbs or make a mad dash to the next floor? These dungeons are the only time I ever found myself legitimately thinking critically about a plan of action as opposed to mindlessly hacking away with no remorse. It’s too bad this level of engagement is gated behind only ten dungeons.

Entry 1:
The following is a calculated powder diffraction line list of Be2B. It was derived from DFT lattice parameters and positions (PBE), using Cu Kα X-rays.
Intensities are scaled so that the largest is 100.

Peak list (5 most intense, 2θ = 10–80°, by intensity)
d 1.616, I 100
d 2.638, I 61
d 1.378, I 15
d 2.285, I 8
d 1.319, I 3

Structural model:
```
data_Be2B
_space_group_name_H-M_alt 'F m -3 m'
_space_group_IT_number 225
_space_group_name_Hall '-F 4 2 3'
_cell_length_a 4.570
_cell_length_b 4.570
_cell_length_c 4.570
_cell_angle_alpha 90.00
_cell_angle_beta 90.00
_cell_angle_gamma 90.00
loop_
_atom_site_label
_atom_site_type_symbol
_atom_site_fract_x
_atom_site_fract_y
_atom_site_fract_z
Be1 Be 0.250 0.250 0.250
B1 B 0.000 0.000 0.000
```

Entry 2:
The following is a calculated powder diffraction line list of BeB2. It was derived from DFT lattice parameters and positions (PBE), using Cu Kα X-rays.
Intensities are scaled so that the largest is 100.

Peak list (6 most intense, 2θ = 10–80°, by intensity)
d 1.903, I 100
d 1.465, I 46
d 2.877, I 39
d 1.439, I 15
d 1.305, I 9
d 2.537, I 3

Structural model:
```
data_BeB2
_space_group_name_H-M_alt 'P 6/m m m'
_space_group_IT_number 191
_space_group_name_Hall '-P 6 2'
_cell_length_a 2.9297
_cell_length_b 2.9297
_cell_length_c 2.8773
_cell_angle_alpha 90.00
_cell_angle_beta 90.00
_cell_angle_gamma 120.00
loop_
_atom_site_label
_atom_site_type_symbol
_atom_site_fract_x
_atom_site_fract_y
_atom_site_fract_z
Be1 Be 0.0000 0.0000 0.0000
B1 B 0.3333 0.6667 0.5000
```

Entry 3:
The following is a calculated powder diffraction line list of NaCaBe2B2O6F. It was derived from DFT lattice parameters and positions (PBE), using Cu Kα X-rays.
Intensities are scaled so that the largest is 100.

Peak list (8 most intense, 2θ = 10–80°, by intensity)
d 2.689, I 100
d 2.223, I 39
d 1.961, I 34
d 2.025, I 21
d 3.094, I 20
d 2.339, I 20
d 3.529, I 16
d 1.798, I 15

Structural model:
```
data_NaCaBe2B2O6F
_space_group_name_H-M_alt 'C 1 c 1'
_space_group_IT_number 9
_space_group_name_Hall 'C -2yc'
_cell_length_a 4.669
_cell_length_b 8.110
_cell_length_c 14.385
_cell_angle_alpha 90.00
_cell_angle_beta 90.05
_cell_angle_gamma 90.00
loop_
_atom_site_label
_atom_site_type_symbol
_atom_site_fract_x
_atom_site_fract_y
_atom_site_fract_z
Na1 Na 0.000 0.002 0.000
Ca1 Ca 0.011 0.008 0.748
Be1 Be 0.011 0.320 0.884
Be2 Be 0.027 0.339 0.110
B1 B 0.018 0.321 0.636
B2 B 0.496 0.153 0.858
O1 O 0.137 0.477 0.633
O2 O 0.188 0.183 0.624
O3 O 0.230 0.200 0.156
O4 O 0.287 0.330 0.370
O5 O 0.318 0.284 0.834
O6 O 0.375 0.003 0.364
F1 F 0.097 0.313 0.997
```

Entry 4:
The following is a calculated powder diffraction line list of CaBeB2O5. It was derived from DFT lattice parameters and positions (PBE), using Cu Kα X-rays.
Intensities are scaled so that the largest is 100.

Peak list (8 most intense, 2θ = 10–80°, by intensity)
d 2.838, I 100
d 2.151, I 77
d 2.055, I 62
d 2.587, I 51
d 1.800, I 47
d 2.812, I 46
d 2.852, I 43
d 2.956, I 25

Tending to Your Kingdom
Fortunately, Ni no Kuni 2‘s secondary pillar keeps the general gameplay loop addictive even when most fights are button mashing affairs. The game opens up significantly once Evan establishes his kingdom, exposing the player to a basic city-building distraction. Completing side quests and errands rewards Evan with citizens, each delineating various levels of influence. Citizens have three stats and an ability that defines how useful he/she is for a specific line of work. Some citizens perform better at the weapon shop, for example, whereas others feel more at home mining materials at camp sites.
This kingdom’s economy is run by kingsguilders, a separate currency from the guilders used to buy/upgrade items, weapons, and armor at shops. Kingsguilders are pumped into creating new buildings, leveling up buildings to open up new avenues of research, and researching the building itself. Citizens constantly gather materials and acquire kingsguilders, which can be reinvested into furthering the kingdom’s influence. You can build new facilities and level up existing ones happens instantaneously, but research occurs in real time. This means if you want to research an avenue of the higglery so that you can create new types of higgledies yourself, you will have to find something else to do within the game world until research is finished.
Much like the compulsive drive of acquiring new loot and seeing your party grow stronger as the the journey progresses in any RPG, building this kingdom up from nothing feels incredibly gratifying. Because of this, the arc of a tiny land plot morphing into a thriving civilization indirectly echoes Evan’s quest. It is the pillar holding the experience together, with every decision adding more to the core systems. Some new goal post is always within reach, be it a loot drop, level up, chest, quest reward, or feeding into the kingdom’s continuous growth.
If Evan’s kingdom holds everything together, then the overworld’s skirmishes are that friend you ignore in conversation. While skirmishes work, they are the weakest pillar, creating a slant that shouldn’t exist. As you can guess from my “Pikmin-like” comment earlier, they play pretty much as you’d expect. Evan has access to four unit types on the battlefield. Different unit types have different abilities and best certain unit types more easily. Strategy is technically possible in these scenarios, but one glaring design decision shatters that expectation. Failing skirmishes does not return you to the loading screen. Instead, you are hoisted back to the overworld with all of the units’ experience points retained. With no penalty for death, skirmishes are too easily exploitable.

Ni no Kuni 2: Revenant Kingdom is a great game. It suffers from low production values and an insulting difficulty, but there are enough systems in place to keep it rewarding. From its loot drop system to the kingdom building, Ni no Kuni 2 provides a consistent level of progression at every moment. If you like seeing numbers go up often, you’ll love Revenant Kingdom.